59 Cowles Road, c. 1950
I grew up in this home, where I lived with my parents and grandmother from about 4-21 (when I left home, and Mosman). On my return to Mosman 10 years ago I have observed many changes over the 40 years. Then Cowles Road was an ordinary middle-class area of Federation-style houses, handy to the tram stop at the top of the street, and Spit Junction. I remember the time Mosman Council planted trees in the street, in order to beautify the street.
I would walk to Mosman Infants and Primary Schools with friends. There were no cars much then. Without refrigeration (the ice man came to the house initially) my mother would have to go to the local shop at the corner of Belmont Road almost every day.
The were the remains in the backyard of an old chook shed, and a wood storage area (for the copper) and a vegetable garden. My father build an orchid house, and much to my disappointment built a garage in front of the house (altering forever the Federation beauty of the front).
The back WC was usable, but the inside bathroom was improved, and the wooden copper in the laundry was replaced.
The front of the house, named “Urana”, is unchanged, but the inside has had extensive extensions at the back, and the wisteria-covered back porch has disappeared.
The piece is interrupted by materials data:
-- begin --
(1)
A geometry-optimized CsRb2Au structure. Source: the Alexandria database, functional GGA-PBE.

Unit cell a=6.441 b=5.860 c=5.860 alpha=90.00 beta=90.00 gamma=90.00
Sites, in units of the cell vectors:
Cs 0.500 0.500 0.500
Au 0.500 0.000 0.000
Rb 0.000 0.000 0.500
Rb 0.000 0.500 0.000

Its crystal system is tetragonal. The formation energy from the elements is -0.03 eV per atom. The value obtained for the total energy is -6.19 eV per cell. The relative energy among the computed polymorphs comes out at 0.1294 eV/atom. Its space group is P4/mmm (123).



(2)
A geometry-optimized PrTmPdPt structure. Source: the Alexandria database, functional GGA-PBE.

Unit cell a=5.025 b=5.025 c=5.025 alpha=60.00 beta=60.00 gamma=60.00
Sites, in units of the cell vectors:
Pr 0.500 0.500 0.500
Tm 0.000 0.000 0.000
Pd 0.250 0.250 0.250
Pt 0.750 0.750 0.750

Its crystal system is cubic. The formation energy from the elements is -0.97 eV per atom. The value obtained for the total energy is -24.35 eV per cell. The relative energy among the computed polymorphs comes out at 0.0667 eV/atom. Its space group is F-43m (216).



(3)
A geometry-optimized CeDy6Tm3Sc2 structure. Source: the Alexandria database, functional GGA-PBE.

Unit cell a=6.028 b=6.028 c=11.543 alpha=94.99 beta=94.99 gamma=119.98
Each line ends with the local moment (μB).
Sites, in units of the cell vectors:
Ce 0.000 0.000 0.000  0.73
Dy 0.918 0.584 0.753  0.03
Dy 0.749 0.749 0.247  0.02
Dy 0.082 0.416 0.247  0.03
Dy 0.584 0.918 0.753  0.03
Dy 0.251 0.251 0.753  0.02
Dy 0.416 0.082 0.247  0.03
Tm 0.168 0.832 0.500  -0.01
Tm 0.832 0.168 0.500  -0.01
Tm 0.500 0.500 0.500  -0.01
Sc 0.333 0.667 0.000  0.05
Sc 0.667 0.333 0.000  0.05

Its crystal system is monoclinic. The formation energy from the elements is 0.05 eV per atom. The value obtained for the total energy is -58.98 eV per cell. Its space group is C2/m (12).



(4)
A geometry-optimized Ag8Te3Se structure. Source: the Alexandria database, functional GGA-PBE.

Unit cell a=4.685 b=7.387 c=8.306 alpha=95.97 beta=90.05 gamma=89.49
Sites, in units of the cell vectors:
Ag 0.393 0.553 0.795
Ag 0.017 0.880 0.837
Ag 0.645 0.186 0.723
Ag 0.393 0.408 0.440
Ag 0.893 0.605 0.558
Ag 0.164 0.796 0.279
Ag 0.873 0.443 0.204
Ag 0.483 0.120 0.168
Te 0.162 0.252 0.921
Te 0.908 0.177 0.420
Te 0.671 0.750 0.073
Se 0.396 0.798 0.580

Its crystal system is triclinic. The value obtained for the total energy is -36.19 eV per cell. For the uncorrected formation energy, the calculation gives -0.04 eV per atom. Its space group is P1 (1).



(5)
A geometry-optimized Zr2Sc2Pa structure. Source: the Alexandria database, functional GGA-PBE.

Unit cell a=3.223 b=3.223 c=13.377 alpha=83.08 beta=83.08 gamma=60.00
Sites, in units of the cell vectors:
Zr 0.801 0.801 0.596
Zr 0.199 0.199 0.404
Sc 0.401 0.401 0.797
Sc 0.599 0.599 0.203
Pa 0.000 0.000 0.000
-- stop --
Hi Douglas, a previous occupant of “Urana” –
Lt. Bruce Harding McLachlan, wounded at Gallipoli.
Hello, We just purchased 61 Cowles Road and are looking to find out about the history of the house including when it was built and any stories of people who lived there over the years and if possible photos would be brilliant.
We are so grateful that the federation charm of the interior and exterior has not been lost over the years. The original WC at the back of the house is still there as a tribute to its early days.
I would be grateful for any information that comes our way.
Kind regards,
I remember “Urana” walked past it every day when sent out to buy supplies. Had a friend Graeme Groats who lived 4 or 5 doors up from the corner of Cowles and Ourimbah Rd. My family lived at #51 Ourimbah Rd. I can remember many an accident on that corner as it was on the top of the rise and protruded midway into Ourimbah Rd. My father ( Doug McCracken ) and another guy named Bill Turk rescued the driver of a VW kombi van which rolled and caught fire on that intersection. I lived in Mosman from 1948 to 1965, Aged 2 to 19. I have always held those years as the best time of my life.
Regards Rod McCracken.
— Rod McCracken · 1 November 2014, 09:05 · #